Sex dolls are outlaw already!!!
Sex dolls are outlaw already!!!
Other urls found in this thread:
>former school governor
>child sex dolls
no doubt he did the real thing if he had access and that disgusting proclivity, funny how it takes him ordering a sex doll for him to get prosecuted though, normally the police protects it's child abusers if they are public servants.
>be pedo working at school
>resist temptations for decades and lead a good life
>the age of doll/robo waifus has arrived
>finally, you get to experience tight cunny
>get arrested before even getting to fug the doll
> 72
He probably can't even get an erection or run after kids
Leave him alone ffs
Rory Tingle? Really?
On the one hand, I like seeing people upset about something that literally doesn't matter, but on the other people who buy sex dolls should probably be shamed.
>72 year old with both an ageplay and giantess fetish
Dam nigga bet he's the kind who starts threads daily on /d/
so they would prefer he rape a child
[Here the entry breaks off for records of crystals]
┌──
(1)
## Mg7As6H4O24 (PBE-GGA)

Data for a relaxed structure of Mg7As6H4O24.

Cell: 6.8348 8.4479 9.6635 Å, 73.01 72.04 82.56°
Last column: nearest neighbours and their distance in Å.
Atoms (fractional coordinates):
Mg1 0.0000 0.0000 0.0000  4 O 2.16-2.17
Mg2 0.7182 0.4559 0.8886  6 O 2.07-2.19
Mg3 0.2818 0.5441 0.1114  6 O 2.07-2.19
Mg4 0.0043 0.2069 0.2801  5 O 2.00-2.20
Mg5 0.9957 0.7931 0.7199  5 O 2.00-2.20
Mg6 0.6142 0.3138 0.5173  5 O 2.05-2.12
Mg7 0.3858 0.6862 0.4827  5 O 2.05-2.12
As1 0.5421 0.1993 0.2111  4 O 1.70-1.81
As2 0.4579 0.8007 0.7889  4 O 1.70-1.81
As3 0.7597 0.5789 0.1806  4 O 1.72-1.73
As4 0.2403 0.4211 0.8194  4 O 1.72-1.73
As5 0.0078 0.2043 0.6431  3 O 1.76-1.95
As6 0.9922 0.7957 0.3569  3 O 1.76-1.95
H1 0.3290 0.1573 0.7610  1 O 1.05
H2 0.6710 0.8427 0.2390  1 O 1.05
H3 0.3136 0.7896 0.1786  1 O 0.99
H4 0.6864 0.2104 0.8214  1 O 0.99
O1 0.6669 0.2173 0.3324  1 As 1.70
O2 0.3331 0.7827 0.6676  1 As 1.70
O3 0.7156 0.2043 0.0381  1 As 1.72
O4 0.2844 0.7957 0.9619  1 As 1.72
O5 0.6967 0.7038 0.7739  1 As 1.71
O6 0.3033 0.2962 0.2261  1 As 1.71
O7 0.5682 0.0029 0.7215  1 O 1.47
O8 0.4318 0.9971 0.2785  1 O 1.47
O9 0.6095 0.5246 0.0891  1 As 1.72
O10 0.3905 0.4754 0.9109  1 As 1.72
O11 0.6272 0.5447 0.3696  1 As 1.73
O12 0.3728 0.4553 0.6304  1 As 1.73
O13 0.8079 0.7877 0.1091  1 H 1.47
O14 0.1921 0.2123 0.8909  1 H 1.47
O15 0.0134 0.5376 0.8330  1 As 1.72
O16 0.9866 0.4624 0.1670  1 As 1.72
O17 0.9030 0.1987 0.4994  1 As 1.76
O18 0.0970 0.8013 0.5006  1 As 1.76
O19 0.7507 0.3068 0.7405  1 H 0.99
O20 0.2493 0.6932 0.2595  1 H 0.99
O21 0.4220 0.1265 0.6626  1 H 1.05
O22 0.5780 0.8735 0.3374  1 H 1.05
O23 0.0329 0.9928 0.2166  1 As 1.80
O24 0.9671 0.0072 0.7834  1 As 1.80

(2)
## RbMgAsH12O10 (PBE-GGA)

Data for a relaxed structure of RbMgAsH12O10.

Cell: 6.2583 7.0803 11.5219 Å, 90.00 90.00 90.00°
Last column: nearest neighbours and their distance in Å.
Atoms (fractional coordinates):
Rb1 0.6435 0.0000 0.7381  5 O 2.97-3.18, 4 H 3.23-3.29
Rb2 0.3565 0.5000 0.2381  5 O 2.97-3.18, 4 H 3.23-3.29
Mg1 0.6130 0.0000 0.3877  6 O 2.10-2.16
Mg2 0.3870 0.5000 0.8877  6 O 2.10-2.16
As1 0.9773 0.5000 0.5187  4 O 1.72-1.73
As2 0.0227 0.0000 0.0187  4 O 1.72-1.73
H1 0.6452 0.2589 0.0192  1 O 1.00
H2 0.8093 0.3196 0.3157  1 O 1.01
H3 0.7201 0.5000 0.7243  1 O 1.01
H4 0.4073 0.8202 0.0332  1 O 1.01
H5 0.1907 0.8196 0.8157  1 O 1.01
H6 0.3548 0.2411 0.5192  1 O 1.00
H7 0.8333 0.5000 0.8514  1 O 0.98
H8 0.6452 0.7411 0.0192  1 O 1.00
H9 0.4073 0.1798 0.0332  1 O 1.01
H10 0.9894 0.1144 0.5066  1 O 1.01
H11 0.2126 0.6999 0.6989  1 O 1.00
H12 0.1907 0.1804 0.8157  1 O 1.01
H13 0.2126 0.3001 0.6989  1 O 1.00
H14 0.5927 0.6798 0.5332  1 O 1.01
H15 0.8093 0.6804 0.3157  1 O 1.01
H16 0.0106 0.3856 0.0066  1 O 1.01
H17 0.9894 0.8856 0.5066  1 O 1.01
H18 0.3548 0.7589 0.5192  1 O 1.00
H19 0.2799 0.0000 0.2243  1 O 1.01
H20 0.7874 0.8001 0.1989  1 O 1.00
H21 0.1667 0.0000 0.3514  1 O 0.98
H22 0.5927 0.3202 0.5332  1 O 1.01
└──
He would get less time if he molested a kid.
and convert to Islam?
Oh God I hate this world, the fucking kikes have ruined it.
>On the one hand, I like seeing people upset about something that literally doesn't matter, but on the other people who buy sex dolls should probably be shamed.
To be honest if people aren't gonna shame sluts and Jews who promote promiscuity/feminism then may as well not shame anything to cut down on the hypocrisy.
This is why the whole, "Do anything you want as long as it's not illegal/hurting other's" line of thinking is a fallacy. You have to be accepting of literally anything in that category otherwise the whole thing falls apart.
Nah. They should give them a free 10/10 escort and if they dont like the escort then it's obvious they are a kiddy fucker.
Everyone has sexual needs, you just cant spawn a women out of the blue everytime you need to nut.
>Analysis of his computer, tablets, external hard drives and pen drives revealed he had also downloaded over 34,000 indecent images of children.
man i'd be less embarrassed for humanity if the guy was caught shagging kids. morals and ethics aside, the mere concept of sex dolls is just cringeworthy
• Attached: data records:
____________
Entry from the Materials Project: a relaxed structure of YErRu2 (PBE).

Computed properties:
Calculated formation energy (eV per atom): -0.330
Electronic total energy (eV/atom): -7.726
ρ (g/cm³): 9.77

Geometry as extended XYZ:
```
4
Lattice="4.286 2.148 0.029 0.720 3.876 2.727 2.799 -0.286 3.882" Properties=species:S:1:pos:R:3 pbc="T T T"
Ru 1.951 1.435 1.659
Y 0.000 0.000 0.000
Er 3.902 2.869 3.319
Ru 5.854 4.304 4.978
```

* * * * *

1.
{"formula": "Ba2YMgFe3O8", "functional": "PBE with a Hubbard U", "state": "relaxed", "cell": [[-0.009, 1.153, -3.744], [-4.088, 0.551, 0.179], [2.007, 13.530, 4.161]], "species": ["Ba", "Ba", "Y", "Mg", "Fe", "Fe", "Fe", "O", "O", "O", "O", "O", "O", "O", "O"], "frac_coords": [[0.500, 0.500, 0.072], [0.500, 0.500, 0.806], [0.500, 0.500, 0.522], [0.500, 0.000, 0.274], [0.000, 0.000, 0.402], [0.000, 0.000, 0.937], [0.000, 0.000, 0.656], [0.000, 0.500, 0.442], [0.500, 0.000, 0.410], [0.500, 0.000, 0.969], [0.000, 0.000, 0.236], [0.000, 0.500, 0.638], [0.500, 0.000, 0.610], [0.000, 0.000, 0.787], [0.000, 0.500, 0.957]], "magnetic_moment_mub_per_atom": 0.862, "formation_enthalpy_0k_ev_per_atom": -2.30, "polymorph_energy_mev_per_atom": 47, "energy_ev_per_cell": -99.18, "mass_density_kg_m3": 4907}


2.
{"formula": "MgMnP2O7", "functional": "PBE with a Hubbard U", "state": "relaxed", "cell": [[5.405, -0.043, -0.679], [1.132, 5.285, 0.679], [0.134, -0.167, 5.010]], "species": ["Mg", "Mn", "P", "P", "O", "O", "O", "O", "O", "O", "O"], "frac_coords": [[0.499, 0.499, 0.000], [0.105, 0.105, 0.000], [0.254, 0.663, 0.564], [0.663, 0.254, 0.436], [0.547, 0.547, 0.500], [0.189, 0.436, 0.734], [0.106, 0.777, 0.299], [0.325, 0.834, 0.779], [0.777, 0.106, 0.701], [0.834, 0.325, 0.221], [0.436, 0.189, 0.266]], "magnetic_moment_mub_per_atom": 0.455, "formation_enthalpy_0k_ev_per_atom": -2.55, "polymorph_energy_mev_per_atom": 232, "energy_ev_per_cell": -77.81, "mass_density_kg_m3": 2908}
____________
Nothing happened until he ordered the doll
Investigation started only because of the doll
so finally you italians will stop being sexual tourists and traveling the world begging sex from the locals.
*I hope sex dolls become accepted and available, so..
>be in your last days, 72 years old
>no longer have any sexual desires let alone get erections
>wife passed away, family doesnt call you anymore
>you remember the happiest days of your life were when you raised your daughter
>you used to watch her play in the yard together with your wife, you called her your little princess
>so stricken with grief and lonliness that you buy a realistic doll
>customize it so it looks like your daughter
>the day is here, it should arrive soon, have the tea set laid out so you can imagine its the good old days
>package intercepted by the police's mail inspection unit
>they rip open the package, photograph the doll, dox you and leak your information to the media
>you get sentenced to jail for a year, you will probably die there
>picture plastered everywhere online and you get labeled as a pedophile deviant
>police toast to a job well done, while ignoring over 4,000 claims of sexual abuse from Muslim rape gangs
>Thought crimes
The UK is literally some 1984 police state minority report tier shithole
>CHILD sex dolls are banned
not all sex dolls.
to add:
if you are fucking a child sex doll then you must find the body of a child sexually attractive which makes you a danger to real children. so is anyone surprised that this 72 year old covert pedo is jailed.
It's just plastic you bloody wanker
Convert to Islam, the UK won't do anything then
he finds the plastic form of a child sexually attractive... that means that he finds children sexually attractive and that's a problem.
>ordering obscene item
>People should go to jail for doing morally neutral things that I find distasteful
Are those actual pictures or Loli?
>doesn't even say porn, meaning it probably wasn't
so people should go to jail for thought crime?
>he finds the plastic form of a child sexually attractive... that means that he finds children sexually attractive and that's a problem.
oh my god you fuckers are 1984ed already
>ordering obscene items is now illegal
bye furry, bsdm, weebs and other various subcultures
*Asian rape gangs
Bin that noun m8
The 1m tall sex dolls are cheaper in price and shipping. Being jailed for 16 months for fucking a non-biological object should not happen, but hey, it's the UK. You Brits are cucked as shit.
he's not thinking about fucking a child. he is having sex with a physical effigy of a child, what part of this is hard to wrap your pedophelic heads around?
Here is a picture of him.
lol child ones being outlawed is good thing lmao. Child sex dolls are not OK OP
But what if he only interested in plastic.
Like, for example, some anons who only interested in 2d?
>he's not thinking about fucking a child
and he's not fucking a child either
I like this.
so not child
I wonder if he could say the sex doll is actually a 1000 year old vampire and get away with it.
>16 months
are you fucking kidding me? What the fuck is wrong with this place?
Not sure how you think the distinction matters.
If some pedo fag fucks a really small/tight fleshlight and imagines he's fucking a little boy or girl or something, is that somehow "less bad" than a doll? Neither of them are a real actual thing, and the intent is the exact same. So I'm not sure why 1 guy carrying out his perverse fantasies on a smaller piece of plastic is somehow not as bad.
so if i crafted the effigy of a woman, drilled a hole in its head, started skull fucking it then ate it, you wouldn't find it a tad bit unusual behaviour for a mentally sound human to partake in?
>so if i crafted the effigy of a woman, drilled a hole in its head, started skull fucking it then ate it, you wouldn't find it a tad bit unusual behaviour for a mentally sound human to partake in?
how cucked is bongland when a glorified fleshlight will get you thrown into the slammer?
Obviously it's weird. But I don't put people in cages for being weird.
>you wouldn't find it a tad bit unusual behaviour
Unusual behavior shouldn't be illegal if nobody is being harmed, you kike.
but what if he's not only interesting it plastic.... the disadvantages of just giving him the benefit of the doubt outweigh the advantages.
Reminder that the guy had 34.000 CP pics on his computer and he plead guilty, the doll was just lumped in there. If it had been the doll alone it would have been another story
If someone burns a barbie doll, are they basically a murderer? What about a life size barbie doll? Are we going to send people to jail for shredding mannequins?
I'm not saying you have to like these people, but there's a difference between someone being deranged and someone committing a crime. They're deranged sickos, but they're not criminals, as it's a bit silly to jail people for fucking or hurting plastic.
Yeah but unusual behavior isn't illegal.
Funny. Everyone is so wrapped up in this sex doll business. Hell, these sex dolls are more "alive" than 80% of the women you will have sex with in real life.
>34.000 CP pics on his computer
Ok, the 16 months sentence makes sense now.
Says who? Clearly it is, and in many countries world wide. Fucking a corpse is surely unusual and illegal.
does a barbie doll have the exact proportions of a human? a barbie doll is so different physically it wouldn't be considered a human, it is so removed in most peoples eyes.
that actually happens. its called a mental institute or rehab. if anything, this old coot should be committed and reformed to not find children attractive. better to help someone with their problem then shut them away and ignore them.
all of the paedophiles and paedophile sympathisers in this thread is sickening. defending him because "it's just a doll", "he wouldn't really do it in person"... yet he is found to have real CP images and therefore real children have been abused to obtain those images and him viewing and wanting more is causing even more children to enter the circle of abuse.
34.000 CP pics, admitted that some of them involved himself. The fact he pleaded guilty to these charges and that the doll was obscene is easy to challenge because of the context. Had it been a case of a totally clean guy it would have been tougher to defend
Do you also believe in Gay Conversion therapy? lmao
Jesus Christ, Sup Forums spends half it's time bitching about dishonest media and the other half believing every turd they shit out.
Fucker should be locked up until he dies.
you country is going into the toilet you fucking retard. it's plastic. if anything the idea is when they get the toys they wouldn't go molest kids. sitting in prison for 12 months on stupid charges won't make stop having the desires to rape a little kid. if anything they'l just go do it now cause they can't release their stress with the doll
porn has PROVEN fucking PROVEN to help make sure men aren't raping women. if men can jerk off then they won't go rape some lady. if they can't jerk off they're gonna just get so horny they decide to go rape somebody. this is fact and you're just a fucking retard drinkng the dyke feminist kool-aid
so, 0?
I think the key word here is "child"
I agree the doll is fine but (citation needed).
having a doll != having cp
One is wrong - the other isn't. One has victims - the other doesn't. Don't conflate this shit you fucking authoritarian.
dumb ass. nobody is talking about necrophilia the act of having sex with a human corpse. it's a fucking human corpse and not a doll that's the difference moron
>do something
>invent laws on the spot afterwards
>"You're guilty of breaking the law that never existed!"
Britain is saved.
running around naked, screaming and throwing your own shit you pulled out your arsehole is unusual behaviour that would likely end up with you in a mental institution, so while unusual behaviour may not be illegal per se, it still has repercussions
He literally had tons CP.
If you're a pedo, stop looking at porn and sort yourself out.
t. former pedo
stop touching your dick for 2 weeks and suddenly fat ugly women start looking attractive. you can test this shit out yourself. when men can't release their stress they go find illegal ways to do it.
this is like saying if you shoot somebody in video games then you're gonna go become a mass murder so we need to ban video games
"Authorities have seized 123 dolls from 120 individuals since March 2016."
Better start stockpiling boys. Supply and demand.
He had CP, pleaded guilty to creating CP and had the doll.
>t. former pedo
no such thing
no because fucking another dude isnt illegal. no point in that. if someone is fucking a child doll, theres a possibility, a slight one, that he may find children attractive which means he might want to have sexual relationships with children. better to nip a problem at the bud before it grows into a big problem.
pedo dolls is competitor business to the police's bio pedo business. They have to destroy it b4 it ever gets going.
# Data records, kept here for reference
+++
No. 1
Material: Te2MoWSeS
Method: DFT, PBE
State: relaxed

Cell and atoms, written as POSCAR:
```
Te2MoWSeS
1.0
3.3954 0.0000 0.0000
-1.6977 2.9405 0.0000
0.0000 0.0000 39.9269
Te Mo W Se S
4 2 2 2 2
Direct
0.0000 0.0000 0.0000
0.0000 0.0000 0.0944
0.3333 0.6667 0.1897
0.3333 0.6667 0.2836
0.0000 0.0000 0.2367
0.0000 0.0000 0.8598
0.3333 0.6667 0.0472
0.3333 0.6667 0.4237
0.3333 0.6667 0.8185
0.3333 0.6667 0.9011
0.0000 0.0000 0.3860
0.0000 0.0000 0.4615
```

## Properties
magnetic moment: 0.00 μB per cell

No. 2
Material: Te2MoW3Se2S4
Method: DFT, PBE
State: relaxed

Cell and atoms, written as POSCAR:
```
Te2MoW3Se2S4
1.0
3.3086 0.0000 0.0000
-1.6543 2.8653 0.0000
0.0000 0.0000 37.6948
Te Mo W Se S
2 1 3 2 4
Direct
0.0000 0.0000 0.0000
0.0000 0.0000 0.1021
0.0000 0.0000 0.2389
0.0000 0.0000 0.8631
0.3333 0.6667 0.0510
0.3333 0.6667 0.4268
0.0000 0.0000 0.3819
0.0000 0.0000 0.4716
0.3333 0.6667 0.1984
0.3333 0.6667 0.2794
0.3333 0.6667 0.8224
0.3333 0.6667 0.9038
```

## Properties
magnetic moment: 0.00 μB per cell

No. 3
Material: Te2Mo3WSe2S4
Method: DFT, PBE
State: relaxed

Cell and atoms, written as POSCAR:
```
Te2Mo3WSe2S4
1.0
3.3106 0.0000 0.0000
-1.6553 2.8670 0.0000
0.0000 0.0000 37.6306
Te Mo W Se S
2 3 1 2 4
Direct
0.0000 0.0000 0.0000
0.0000 0.0000 0.1023
0.0000 0.0000 0.2390
0.0000 0.0000 0.8632
0.3333 0.6667 0.4269
0.3333 0.6667 0.0512
0.0000 0.0000 0.3822
0.0000 0.0000 0.4715
0.3333 0.6667 0.1984
0.3333 0.6667 0.2796
0.3333 0.6667 0.8227
0.3333 0.6667 0.9039
```

## Properties
magnetic moment: 0.00 μB per cell

No. 4
Material: Te2Mo3WSe4S2
Method: DFT, PBE
State: relaxed

Cell and atoms, written as POSCAR:
```
Te2Mo3WSe4S2
1.0
3.3443 0.0000 0.0000
-1.6721 2.8962 0.0000
0.0000 0.0000 38.0224
Te Mo W Se S
2 3 1 4 2
Direct
0.0000 0.0000 0.0000
0.0000 0.0000 0.0998
0.0000 0.0000 0.4863
0.0000 0.0000 0.8620
0.3333 0.6667 0.0499
0.3333 0.6667 0.6742
0.0000 0.0000 0.6301
0.0000 0.0000 0.7183
0.3333 0.6667 0.4425
0.3333 0.6667 0.5301
0.3333 0.6667 0.8222
0.3333 0.6667 0.9019
```

## Properties
magnetic moment: 0.00 μB per cell

No. 5
Material: Te2MoW3Se4S2
Method: DFT, PBE
State: relaxed

Cell and atoms, written as POSCAR:
```
Te2MoW3Se4S2
1.0
3.3427 0.0000 0.0000
-1.6713 2.8948 0.0000
0.0000 0.0000 38.0725
Te Mo W Se S
2 1 3 4 2
Direct
0.0000 0.0000 0.0000
0.0000 0.0000 0.1001
0.0000 0.0000 0.8621
0.0000 0.0000 0.4864
0.3333 0.6667 0.0501
0.3333 0.6667 0.6743
0.0000 0.0000 0.6304
0.0000 0.0000 0.7182
0.3333 0.6667 0.8184
0.3333 0.6667 0.9059
0.3333 0.6667 0.4464
0.3333 0.6667 0.5264
```

## Properties
magnetic moment: 0.01 μB per cell

No. 6
Material: Te2Mo3WSe2S4
Method: DFT, PBE
State: relaxed

Cell and atoms, written as POSCAR:
```
Te2Mo3WSe2S4
1.0
3.3062 0.0000 0.0000
-1.6531 2.8632 0.0000
0.0000 0.0000 38.9448
Te Mo W Se S
2 3 1 2 4
Direct
0.0000 0.0000 0.0000
0.0000 0.0000 0.0981
0.0000 0.0000 0.2400
0.6667 0.3333 0.0491
0.6667 0.3333 0.4266
0.0000 0.0000 0.6146
0.6667 0.3333 0.1969
0.6667 0.3333 0.2832
0.0000 0.0000 0.3874
+++
That's the kind of mental gymnastis libs do, are you a fag? You said unusual behavior wasn't illegal, I pointed out that it is.
If he is convicted report homosexual dildoes, fursuits, strapons, BDSM gear, and the complete inventory of all previous Gay Pride Parades immediately, and use his case as a precedent.
Come on, at least one you fags must have legal connections.
this is probably karma for anglos fucking over the world so much they're gonna turn into a shithole and go extinct. couldn't have happened to more deserving people. fucking wankers
Haven't been attracted to kids in almost a decade, but feel free to tell me more about myself if it fits with your conformation bias.
>muhh obscene
puritanists are so fucking unbearable
How is this 1984?
The man sounds like a degenerate anyway, so good riddance.
It's about time we tackle this post modern world of porn addictions, prostitution, degrading reality tv, slut culture, and instagram whores
I'm pretty sure pol's favourite historical leaders would ban the same shit.
Would making your own from scratch be illegal?
And he should go to jail for the CP. The Doll shouldn't go into the equation.
>potato nigger
Checks out.
what goes around comes around. My karma is cleansed.
no you didn't you fucking dumb motherfucker. the guy said if he made a created object and did obscene stuff to it it'd be strange
you said IF YOU FUCK A HUMAN CORPSE IT'S ILLEGAL. whether you're alive or dead people don't have the right to desecrate your corpse you fucking loony.
a doll isn't a human corpse you demented freak. this doll is like arguing people shouldn't play first person shooters cause it'll make them into killers. you're a dumb fuck.
if fucking this doll makes you rape kids then shooting people on the screen makes you a serial murder. OH WAIT! IT DOESN'T! kys
Context matters when it comes to legal issues
Turns out this guy also had actual child pornographic photos in his possession also. Misleading headline.
it just shows you how infantile society is, and how disgusting they are
if the world wants to know, the next Einstein hasnt participated in the current body of world knowledge, its because we dont want to contribute to the cucks success, and would rather die with our knowledge, or give it away to the "enemy"
Ive never heard of plastic needing to go for psychotherapy
The moral status is irrelevant to the question wether Conversion Therapy works or not. If you can't change the orientation of gays, why would it be different for pedos?
>I don't like how your piece of plastic was molded. Therefore it should be banned
Statists will defend this
>school governor
What even is that?
Shame this sick fuck worked with children for so long, though.
You casually forgot to mention the HORRIFIC BETRAYAL.
he would have been nutting inside kids his whole life while paying due cash to the pedo police. Its only when he tried to get 'out' did the pedo gangs get him.
>Rory Tingle
Off this one evidence, it might just be a fictional scare story placed in the media to warn all pedos them not try get 'out' via using pedo dolls. or it might be a false name for a real person
He should argue that the doll is meant to be a midget not a child or that he has a fantasy of being a giant.
lmao, UK literally is more oppressive than Turkey now
You have zero morale high ground to stand on here fag, you're arguing for a pedo to be able to fuck a child doll lol. Your inferiour, probably because of your brown skin, brain has yet to respond to the argument. You said unusual behavior isn't illegal. I pointed out a pretty fucking unusual behavior that is illegal. Masturbating in public is illegal. Some places drinking in public is illegal. So clearly what a place has defined as unusual behavior can be illegal.